### To do
Now count the lines further down that contain the word "e_lumo_ev" and give the number alone.

### Source
Entry 1:
{"formula": "C5H9NO", "method": "ωB97M-V with the def2-TZVPD basis set", "symbols": ["N", "C", "C", "C", "C", "C", "O", "H", "H", "H", "H", "H", "H", "H", "H", "H"], "coordinates": [[2.639, 0.603, 0.765], [1.913, -0.204, 0.360], [0.999, -1.246, -0.119], [-0.455, -1.106, 0.375], [-1.286, 0.006, -0.272], [-0.755, 1.422, -0.073], [0.407, 1.645, -0.851], [1.033, -1.262, -1.214], [1.415, -2.193, 0.242], [-0.451, -0.982, 1.465], [-0.945, -2.068, 0.176], [-1.383, -0.177, -1.351], [-2.301, -0.044, 0.146], [-0.569, 1.600, 0.997], [-1.517, 2.141, -0.397], [1.148, 1.837, -0.263]], "e_lumo_ev": 0.86, "max_force_ev_per_a": 1.1, "smiles": "N#CCCCCO", "e_above_lowest_kcal_mol": 25.9, "total_energy_ha": -325.89634, "e_homo_ev": -10.19}


Entry 2:
{"formula": "C5H9NO", "method": "ωB97M-V with the def2-TZVPD basis set", "symbols": ["C", "C", "C", "C", "O", "C", "N", "H", "H", "H", "H", "H", "H", "H", "H", "H"], "coordinates": [[-0.998, -0.742, 1.115], [-0.170, 0.066, 0.120], [0.175, 1.446, 0.685], [1.098, -0.704, -0.341], [1.062, -0.633, -1.776], [-0.158, -0.130, -2.066], [-0.924, 0.250, -1.135], [-1.923, -0.208, 1.353], [-0.441, -0.901, 2.047], [-1.266, -1.719, 0.698], [0.924, 1.357, 1.475], [0.577, 2.098, -0.097], [-0.709, 1.931, 1.108], [2.033, -0.260, 0.001], [1.076, -1.762, -0.056], [-0.383, -0.091, -3.126]], "e_lumo_ev": 0.95, "max_force_ev_per_a": 0.4, "smiles": "CC1(C)COC=N1", "e_above_lowest_kcal_mol": 21.2, "total_energy_ha": -325.90383, "e_homo_ev": -9.61}


Entry 3:
{"formula": "C5H9NO", "method": "ωB97M-V with the def2-TZVPD basis set", "symbols": ["C", "C", "N", "C", "C", "C", "O", "H", "H", "H", "H", "H", "H", "H", "H", "H"], "coordinates": [[-2.087, -0.232, -0.124], [-1.188, 0.698, 0.655], [-0.351, 0.205, 1.741], [0.296, 0.681, 0.516], [0.968, -0.310, -0.386], [2.379, -0.184, -0.745], [1.961, -1.138, 0.217], [-2.419, 0.237, -1.057], [-2.980, -0.481, 0.459], [-1.593, -1.177, -0.373], [-1.650, 1.658, 0.880], [-0.343, -0.813, 1.744], [0.841, 1.614, 0.657], [0.342, -0.841, -1.106], [2.717, -0.597, -1.696], [2.961, 0.652, -0.355]], "e_lumo_ev": 1.09, "max_force_ev_per_a": 0.3, "smiles": "C[C@H]1N[C@H]1[C@H]1CO1", "e_above_lowest_kcal_mol": 69.9, "total_energy_ha": -325.82611, "e_homo_ev": -9.48}


(1)
This record from the OMol25 dataset describes 2 unconnected molecules or ions with the total composition C4H8NO2. The level of theory is ωB97M-V/def2-TZVPD.

```
15
Properties=species:S:1:pos:R:3:forces:R:3
O -2.3981 0.4603 1.0925 0.044 0.229 0.293
C -1.2654 0.1231 0.6761 -0.673 -0.717 0.034
N -0.9426 -1.0735 0.2063 0.975 -0.044 0.346
C 0.9851 -1.9354 -0.4207 0.272 0.541 -0.608
O 1.3721 -2.9775 0.0850 -0.276 -0.197 0.274
C -0.1618 1.1728 0.7001 0.666 0.068 0.239
C 0.4401 1.4764 -0.6861 -1.227 -0.247 -0.088
H -1.6054 -1.7883 0.4855 -0.398 0.216 -0.266
H 0.4627 -1.8986 -1.3896 0.051 -0.227 0.009
H 1.4413 -0.9654 -0.1620 -0.052 -0.044 0.196
H 0.6669 0.8549 1.3455 -0.197 -0.400 -0.027
H -0.5940 2.0134 1.2396 0.020 0.396 -0.426
H 1.5199 1.5888 -0.6852 0.038 0.287 -0.039
H 0.1682 0.6409 -1.3311 0.362 -0.219 -0.021
H -0.0892 2.3080 -1.1561 0.393 0.357 0.085
```
Forces are in eV/Å.

Multiplicity ... 1
Charge ... -1
Gap between HOMO and LUMO ... 7.9 eV

(2)
This record from the OMol25 dataset describes 15 unconnected molecules or ions with the total composition C36H105F3N15O16. The level of theory is ωB97M-V/def2-TZVPD.

```
175
Properties=species:S:1:pos:R:3:forces:R:3
C 9.4373 25.5719 14.9774 2.901 -3.962 2.468
O 8.2831 25.3466 15.9192 -1.285 1.128 -1.644
O 10.2693 24.4057 15.1133 -1.972 2.738 -1.862
C 9.1309 26.2708 13.6054 -0.277 0.209 1.308
F 10.2343 26.6001 12.8700 -0.641 -0.376 0.765
F 8.2787 25.6755 12.7818 -0.182 -0.513 -0.480
F 8.5303 27.4567 13.9636 0.236 -0.053 -0.564
C 7.0466 24.7900 15.3998 1.247 -0.572 -0.069
C 6.0945 24.5011 16.5193 0.050 0.640 0.557
H 6.5496 23.8400 17.2568 -0.177 -0.003 0.081
H 5.8399 25.4632 16.9639 0.025 -0.043 0.458
H 5.1475 24.1041 16.1538 0.104 -0.305 -0.129

### Response
3